The CFR Gender and Public Policy seminar

This group brings together about 25 York faculty members and ABD PhD students to discuss their current work in progress. Members come from a range of disciplines: Sociology, Social Work, Law, Women's Studies, Social Science, Political Science, Anthropology, Labour Studies. Their shared interest is in gender and public policy in Canada, with particular expertise in tax policy, child care, employment insurance and other forms of income security, health care.

The group meets monthly and responds to new policy initiatives. Responses are posted on the CFR website and we encourage readers to comment on our responses and to join in discussions about policy directions.

Tuesday, February 17, 2009

A Budget for all Canadians

February 6, 2009
A Budget for all Canadians

In response to the Coalition’s pressure, the 2009 Budget attempts to address the needs of all Canadians. However, the budget ignores women and promises to increase existing inequalities between women and men and among women. This is short-sighted. A range of national and global authorities, including the World Economic Forum and The World Bank, as well as think tanks including the Caledon Institute of Public Policy and the Canadian Centre for Policy Alternatives, have all shown that the more equal men and women are in job markets, employment rights, healthcare and education, the better the economy performs – both in terms of growth rates and the quality of outcomes. Why doesn’t the budget recognize that women matter for a vibrant economy?

What could the government do to promote more equal treatment for men and women in ways that would be more economically productive?

We need a budget that recognizes the differences in the economic positions of men and women, as well as their different responsibilities in Canadian society. Women still on average earn about 64% of the average earnings of men. They are concentrated in part-time and precarious employment. They are still the major care providers. Most lone parent households are made up of women and children and 2/3 of them live below the poverty line. A government stimulus package based on infrastructure, with a focus on projects that are “shovel ready” such as highways and bridges ignores these facts. Women need highways and bridges but also need “care ready” projects: child care, elder care, health care, and education. The government’s stimulus package will provide an important incentive to men’s employment. However, if jobs are the issue, why have the labour intensive sectors of health and education, where most women work and which benefit us all directly, been overlooked? What if the government emphasized the need to pay for and extend our social infrastructure, which is central to the functioning of a healthy and just society? Why not restore funding to organizations like the Status of Women Canada who help keep the focus on a care infrastructure for all Canadians? Focusing stimulus on the care infrastructure would raise the income of women, many of whom represent a disproportionate share of the poor and working poor in our society. It would also have broader social and economic benefits related to the way in which we all live our daily lives in homes, schools, communities and work places.

We need a budget that really deals with unemployment. Right now, only about 40% of all workers qualify for Employment Insurance. Employment Insurance benefits need to be increased and be made more available to more people. Both women and men contribute to Employment Insurance – but fewer women quality for payments. Employment Insurance payments put purchasing power into the pockets of recently unemployed workers and subsequently sustain aggregate demand and help to mitigate the effects of recession on the economy –what the famous economist John Maynard Keynes called an automatic stabilizer.

We need a budget that helps women and men enter the job market after years of family caregiving, time on social assistance, as new employees, or as workers forced to retrain after job loss. Many parents depend on child care. In Canada, ¾ of women with young children are in the paid labour force and less than 20% of children outside of Quebec have access to a regulated child care space. In addition, Canadians pay among the highest child care fees in the industrialized world. One way to develop our care infrastructure and to address what has been called the “care gap” is to focus public investment on providing universal access to quality child care across the country. Research shows that for every dollar spent on such care it generates between $2 and $17 for the economy as a whole. Income and other supports could also be extended to individuals in Canada with small children and with elderly relatives for whom they care, to help balance work-family time commitments. Linda Duxbury, a Professor at Carleton University’s School of Business, found that workers in Canada are working longer and longer hours – one in four now works more than 50 hours a week compared to one in 10 in 1991. Longer working hours are linked to declining fertility rates, increasing health costs, and lower productivity amongst workers. So thinking about transfer payments that offset some of the hidden costs of economic downturns and reverse government cutbacks would be a very good investment in Canada's future.

What comes next are materials data, not part of the text
-- begin --
Record 1
# ZrFe2Ag

Crystalline ZrFe2Ag at its relaxed geometry (PBE, the Alexandria database).

E_form ... 17.27 kcal/mol of atoms
Total DFT energy (no corrections) ... -50.7 eV for the cell shown
Energy relative to the lowest polymorph listed for this composition ... 662 meV per atom
N(E_F) ... 4.48 states/eV/f.u.
Spin magnetization ... 0.0 μB per cell

Cell: 3.889 3.889 9.384 Å, 78.04 78.04 90.00°
Sites, in units of the cell vectors:
Zr 0.500 0.500 0.000
Zr 0.250 0.750 0.500
Ag 0.000 0.000 0.000
Ag 0.750 0.250 0.500
Fe 0.726 0.125 0.250
Fe 0.024 0.625 0.250
Fe 0.375 0.274 0.750
Fe 0.875 0.976 0.750

Record 2
# Zr2FeAg

Crystalline Zr2FeAg at its relaxed geometry (PBE, the Alexandria database).

E_form ... 0.50 kcal/mol of atoms
Total DFT energy (no corrections) ... -28.3 eV for the cell shown
Energy relative to the lowest polymorph listed for this composition ... 128 meV per atom
N(E_F) ... 4.90 states/eV/f.u.
Spin magnetization ... 0.0 μB per cell

Cell: 4.691 4.691 4.691 Å, 60.00 60.00 60.00°
Sites, in units of the cell vectors:
Zr 0.250 0.250 0.250
Zr 0.750 0.750 0.750
Ag 0.500 0.500 0.500
Fe 0.000 0.000 0.000

Record 3
# ZrFe2Ag

Crystalline ZrFe2Ag at its relaxed geometry (PBE, the Alexandria database).

E_form ... 7.30 kcal/mol of atoms
Total DFT energy (no corrections) ... -27.1 eV for the cell shown
Energy relative to the lowest polymorph listed for this composition ... 229 meV per atom
N(E_F) ... 4.48 states/eV/f.u.
Spin magnetization ... 4.4 μB per cell

Cell: 4.466 2.792 5.252 Å, 82.91 90.00 90.00°
Last column: magnetic moment on the atom in μB.
Sites, in units of the cell vectors:
Ag 0.500 0.750 0.750  -0.01
Fe 0.000 0.960 0.023  2.48
Fe 0.000 0.540 0.477  2.48
Zr 0.500 0.250 0.250  -0.39

Record 4
# Zr6FeAg2

Crystalline Zr6FeAg2 at its relaxed geometry (PBE, the Alexandria database).

E_form ... -1.61 kcal/mol of atoms
Total DFT energy (no corrections) ... -66.1 eV for the cell shown
N(E_F) ... 9.06 states/eV/f.u.
Spin magnetization ... 0.0 μB per cell

Cell: 3.281 8.075 8.078 Å, 119.99 90.00 90.00°
Sites, in units of the cell vectors:
Zr 0.500 0.611 0.000
Zr 0.500 0.389 0.389
Zr 0.500 0.000 0.611
Zr 0.000 0.242 0.000
Zr 0.000 0.758 0.758
Zr 0.000 0.000 0.242
Fe 0.500 0.000 0.000
Ag 0.000 0.333 0.667
Ag 0.000 0.667 0.333

Q: What is the formula in the third record?
A: ZrFe2Ag

----------

Density functional theory data (PBE) for HfTiIr2 after structural relaxation.

CIF file:
```
data_HfTiIr2
_chemical_formula_sum 'Hf4 Ti4 Ir8'
_space_group_name_H-M_alt 'C m c m'
_space_group_IT_number 63
_space_group_name_Hall '-C 2c 2'
_cell_length_a 5.963
_cell_length_b 9.706
_cell_length_c 4.555
_cell_angle_alpha 90.00
_cell_angle_beta 90.00
_cell_angle_gamma 90.00
loop_
_atom_site_label
_atom_site_fract_x
_atom_site_fract_y
_atom_site_fract_z
Hf1 0.000 0.142 0.250
Ti1 0.000 0.370 0.750
Ir1 0.245 0.398 0.250
```

**DFT total energy**: -156.057 eV per cell
**Spin magnetization**: 0.00 μB per cell
**E_form**: -0.8610 eV per atom

---
-- stop --

Tax cuts don’t help the lowest income earners. About 38% of women tax filers earn so little income that they have no tax liability. Increasing the paid work attachment of low income lone mothers with children under the age of five, such as by enhancing the Working Income Tax Benefit, doesn’t work when the only jobs available to many are low-paying, part-time, odd hours, and temporary and affordable, reliable, accessible, and flexible child care is scarce. And raising the threshold at which working families can receive the National Child Benefit doesn’t help lone mothers on social assistance whose benefits will still be cut dollar for dollar.

Finally, a budget that addresses the needs of all Canadians needs to include performance measures which allow us to assess the degree to which the stimulus package really works. Does it actually help the poorest members of our society, for example Aboriginal women?

We urge the Harper government and future governments of Canada to initiate a policy and budgetary process that takes into account some of these insights – what is called a gender-responsive budget analysis in other countries. Indeed, some 70 countries around the world, including England, France, Morocco and South Africa, have begun to integrate gender analysis in their approach to economics and are on the road to more effective, efficient and equitable policy-making.

We urge our government to develop budgets for all Canadians. The way that a society treats its poorest and most vulnerable members is perhaps the ultimate test of its commitment to equity, justice and prosperity.

Gender Public Policy Group